**Exercise**
Write out the lines below with every line break kept.

**Entries**
=====
1.
The following is a DFT calculation (PBE with a Hubbard U) of a relaxed BaLa3Mn4O12 crystal.

extended XYZ file:
```
20
Lattice="2.814 1.633 4.544 -5.618 -3.244 4.531 2.816 -4.887 -0.006" Properties=species:S:1:pos:R:3 pbc="T T T"
O 1.183 -4.344 5.754
Mn -0.004 -3.256 4.542
La 0.009 -6.503 5.664
O 1.293 -1.123 1.062
O 2.677 0.011 3.392
Ba 0.011 -0.010 3.405
O -1.243 -1.075 7.942
O -0.316 -4.903 3.434
O -1.342 -2.310 3.414
Mn -2.795 -1.605 9.065
O 4.039 -3.741 5.670
O -1.571 -3.759 5.669
La -0.009 -3.216 7.939
O 1.499 -2.590 3.402
O 0.330 -1.678 5.742
O -2.444 -6.439 5.577
Mn -0.003 -6.515 2.269
O -1.211 -5.418 7.899
Mn -2.792 -4.864 6.792
La 2.817 -1.622 5.673
```

Output
E above lowest polymorph = 0.0 meV per atom
ΔH_f (0 K) = -2.864 eV/atom
Total moment = 15.0 μB per formula unit


2.
The following is a DFT calculation (PBE with a Hubbard U) of a relaxed BaLa2Mn3O9 crystal.

extended XYZ file:
```
30
Lattice="-5.450 -1.409 0.042 3.665 -2.838 3.194 -2.183 8.748 10.276" Properties=species:S:1:pos:R:3 pbc="T T T"
La -0.644 2.730 8.124
O -5.051 3.641 6.317
La 0.448 -1.644 2.986
La -4.416 6.145 10.525
O -1.615 -0.127 1.161
Mn -2.776 -0.427 2.806
O -3.683 1.924 8.069
Mn -0.101 0.554 5.568
La -3.324 1.771 5.387
O -1.955 -2.285 2.926
O -3.385 1.453 2.591
O -2.567 4.349 9.392
O -0.285 2.577 5.443
O -2.278 3.916 6.672
O -2.353 4.628 12.351
O 1.363 0.709 4.233
Mn 0.000 0.000 0.000
O 0.200 5.730 11.955
Mn -1.192 4.928 10.706
O -1.401 0.152 4.119
O -4.249 5.886 7.727
O 0.119 5.201 9.237
Ba -1.637 6.561 7.707
O 1.083 0.860 7.195
Ba -0.546 2.187 2.569
O -2.013 6.786 10.585
Mn -3.867 3.947 7.943
O -1.690 0.586 6.840
O -4.168 -1.229 1.557
Mn -1.092 4.374 5.138
```

Output
ΔH_f (0 K) = -2.821 eV/atom
Total moment = 11.0 μB per formula unit


3.
The following is a DFT calculation (PBE with a Hubbard U) of a relaxed BaLa3Mn4O12 crystal.

extended XYZ file:
```
20
Lattice="-2.303 -5.985 2.427 0.168 0.222 6.850 -3.916 5.112 2.275" Properties=species:S:1:pos:R:3 pbc="T T T"
O -4.593 -0.552 7.068
La -1.874 2.667 4.562
O -2.789 3.943 6.791
O -2.031 -1.647 6.976
Mn -4.899 2.342 10.337
Mn -6.135 -0.762 8.126
O -3.537 -1.844 4.715
La -2.941 -0.214 9.201
O -1.588 -4.287 6.905
O -4.020 0.996 4.576
Mn -3.026 -0.326 5.776
O -1.458 -0.099 4.484
Mn -4.261 -3.429 3.565
Ba 0.168 0.222 6.850
La -1.067 -2.881 4.638
O -2.514 1.193 6.837
O -2.719 -3.134 2.410
O -3.262 -4.594 4.760
O -3.332 2.484 9.142
O -4.463 3.637 4.647
```

Output
E above lowest polymorph = 26.6 meV per atom
ΔH_f (0 K) = -2.837 eV/atom
Total moment = 15.0 μB per formula unit


4.
The following is a DFT calculation (PBE with a Hubbard U) of a relaxed BaLa3Mn4O12 crystal.

extended XYZ file:
```
20
Lattice="2.823 1.613 4.547 -5.608 -3.226 4.524 2.845 -4.899 0.008" Properties=species:S:1:pos:R:3 pbc="T T T"
O 1.297 -5.305 1.090
Ba 0.001 -0.011 3.397
O -2.371 -6.495 5.545
O 2.627 0.060 3.444
Mn 0.004 -0.010 6.818
Mn -2.779 -4.851 6.798
O -1.410 -2.249 3.372
O -1.619 -3.789 5.708
La 2.841 -1.635 5.665
O -4.061 -2.770 3.449
O -0.298 -4.814 3.472
O 0.374 -1.793 5.712
La -2.793 -1.626 5.683
O -1.068 -5.426 7.931
O 1.289 -4.436 5.810
La -2.776 -4.837 3.412
Mn 0.035 -3.267 4.546
O 1.194 -1.118 1.044
Mn 0.076 -6.502 9.062
O 1.580 -2.578 3.353
```

Output
E above lowest polymorph = 11.8 meV per atom
ΔH_f (0 K) = -2.852 eV/atom
Total moment = 15.0 μB per formula unit


5.
The following is a DFT calculation (PBE with a Hubbard U) of a relaxed Ba2LaMn2O7 crystal.

extended XYZ file:
```
24
Lattice="-4.013 -4.013 0.000 2.006 -2.006 10.421 -4.013 4.013 0.000" Properties=species:S:1:pos:R:3 pbc="T T T"
O -2.007 0.081 8.628
Mn -2.007 -2.006 8.458
Ba -2.007 2.007 3.777
Ba -2.007 -2.006 3.775
O 0.081 -2.007 8.628
O -2.088 0.001 1.793
Ba 0.000 0.000 6.645
O -2.007 -2.006 6.534
O -2.007 -2.006 10.378
Mn -2.007 2.007 8.501
O -5.938 -0.001 1.793
O -4.013 0.000 3.860
La -4.013 0.000 10.421
O -4.013 -1.925 1.793
O -4.094 -2.006 8.628
La -6.019 -2.006 0.000
O 0.000 0.000 3.886
O -2.007 2.007 6.561
Ba -4.013 0.000 6.643
=====

**Result**
1.
The following is a DFT calculation (PBE with a Hubbard U) of a relaxed BaLa3Mn4O12 crystal.

extended XYZ file:
```
20
Lattice="2.814 1.633 4.544 -5.618 -3.244 4.531 2.816 -4.887 -0.006" Properties=species:S:1:pos:R:3 pbc="T T T"
O 1.183 -4.344 5.754
Mn -0.004 -3.256 4.542
La 0.009 -6.503 5.664
O 1.293 -1.123 1.062
O 2.677 0.011 3.392
Ba 0.011 -0.010 3.405
O -1.243 -1.075 7.942
O -0.316 -4.903 3.434
O -1.342 -2.310 3.414
Mn -2.795 -1.605 9.065
O 4.039 -3.741 5.670
O -1.571 -3.759 5.669
La -0.009 -3.216 7.939
O 1.499 -2.590 3.402
O 0.330 -1.678 5.742
O -2.444 -6.439 5.577
Mn -0.003 -6.515 2.269
O -1.211 -5.418 7.899
Mn -2.792 -4.864 6.792
La 2.817 -1.622 5.673
```

Output
E above lowest polymorph = 0.0 meV per atom
ΔH_f (0 K) = -2.864 eV/atom
Total moment = 15.0 μB per formula unit


2.
The following is a DFT calculation (PBE with a Hubbard U) of a relaxed BaLa2Mn3O9 crystal.

extended XYZ file:
```
30
Lattice="-5.450 -1.409 0.042 3.665 -2.838 3.194 -2.183 8.748 10.276" Properties=species:S:1:pos:R:3 pbc="T T T"
La -0.644 2.730 8.124
O -5.051 3.641 6.317
La 0.448 -1.644 2.986
La -4.416 6.145 10.525
O -1.615 -0.127 1.161
Mn -2.776 -0.427 2.806
O -3.683 1.924 8.069
Mn -0.101 0.554 5.568
La -3.324 1.771 5.387
O -1.955 -2.285 2.926
O -3.385 1.453 2.591
O -2.567 4.349 9.392
O -0.285 2.577 5.443
O -2.278 3.916 6.672
O -2.353 4.628 12.351
O 1.363 0.709 4.233
Mn 0.000 0.000 0.000
O 0.200 5.730 11.955
Mn -1.192 4.928 10.706
O -1.401 0.152 4.119
O -4.249 5.886 7.727
O 0.119 5.201 9.237
Ba -1.637 6.561 7.707
O 1.083 0.860 7.195
Ba -0.546 2.187 2.569
O -2.013 6.786 10.585
Mn -3.867 3.947 7.943
O -1.690 0.586 6.840
O -4.168 -1.229 1.557
Mn -1.092 4.374 5.138
```

Output
ΔH_f (0 K) = -2.821 eV/atom
Total moment = 11.0 μB per formula unit


3.
The following is a DFT calculation (PBE with a Hubbard U) of a relaxed BaLa3Mn4O12 crystal.

extended XYZ file:
```
20
Lattice="-2.303 -5.985 2.427 0.168 0.222 6.850 -3.916 5.112 2.275" Properties=species:S:1:pos:R:3 pbc="T T T"
O -4.593 -0.552 7.068
La -1.874 2.667 4.562
O -2.789 3.943 6.791
O -2.031 -1.647 6.976
Mn -4.899 2.342 10.337
Mn -6.135 -0.762 8.126
O -3.537 -1.844 4.715
La -2.941 -0.214 9.201
O -1.588 -4.287 6.905
O -4.020 0.996 4.576
Mn -3.026 -0.326 5.776
O -1.458 -0.099 4.484
Mn -4.261 -3.429 3.565
Ba 0.168 0.222 6.850
La -1.067 -2.881 4.638
O -2.514 1.193 6.837
O -2.719 -3.134 2.410
O -3.262 -4.594 4.760
O -3.332 2.484 9.142
O -4.463 3.637 4.647
```

Output
E above lowest polymorph = 26.6 meV per atom
ΔH_f (0 K) = -2.837 eV/atom
Total moment = 15.0 μB per formula unit


4.
The following is a DFT calculation (PBE with a Hubbard U) of a relaxed BaLa3Mn4O12 crystal.

extended XYZ file:
```
20
Lattice="2.823 1.613 4.547 -5.608 -3.226 4.524 2.845 -4.899 0.008" Properties=species:S:1:pos:R:3 pbc="T T T"
O 1.297 -5.305 1.090
Ba 0.001 -0.011 3.397
O -2.371 -6.495 5.545
O 2.627 0.060 3.444
Mn 0.004 -0.010 6.818
Mn -2.779 -4.851 6.798
O -1.410 -2.249 3.372
O -1.619 -3.789 5.708
La 2.841 -1.635 5.665
O -4.061 -2.770 3.449
O -0.298 -4.814 3.472
O 0.374 -1.793 5.712
La -2.793 -1.626 5.683
O -1.068 -5.426 7.931
O 1.289 -4.436 5.810
La -2.776 -4.837 3.412
Mn 0.035 -3.267 4.546
O 1.194 -1.118 1.044
Mn 0.076 -6.502 9.062
O 1.580 -2.578 3.353
```

Output
E above lowest polymorph = 11.8 meV per atom
ΔH_f (0 K) = -2.852 eV/atom
Total moment = 15.0 μB per formula unit


5.
The following is a DFT calculation (PBE with a Hubbard U) of a relaxed Ba2LaMn2O7 crystal.

extended XYZ file:
```
24
Lattice="-4.013 -4.013 0.000 2.006 -2.006 10.421 -4.013 4.013 0.000" Properties=species:S:1:pos:R:3 pbc="T T T"
O -2.007 0.081 8.628
Mn -2.007 -2.006 8.458
Ba -2.007 2.007 3.777
Ba -2.007 -2.006 3.775
O 0.081 -2.007 8.628
O -2.088 0.001 1.793
Ba 0.000 0.000 6.645
O -2.007 -2.006 6.534
O -2.007 -2.006 10.378
Mn -2.007 2.007 8.501
O -5.938 -0.001 1.793
O -4.013 0.000 3.860
La -4.013 0.000 10.421
O -4.013 -1.925 1.793
O -4.094 -2.006 8.628
La -6.019 -2.006 0.000
O 0.000 0.000 3.886
O -2.007 2.007 6.561
Ba -4.013 0.000 6.643